Not So Hamptons

Written By: Steph  Kiser

She screamed so loud that I figured someone must be dead. I sighed. My day had begun at 6:15 AM, and it was now close to sunset. I was in no mood to deal with a dead body, or any other sort of emergency for that matter. I had season three of Girls to rewatch and a flagel from Goldberg’s to eat. Technically– my shift was over anyway.

“Rachel!,” she said in panic, “Rachel, there is something furry and alive IN THE TRASH CAN!”

“Ok, don’t worry, Rachel,” I said. “I’ll get it out.”

Ironically, both me and my boss, are named Rachel. At first this seemed like a small , humorous detail. But figuring out whose Starbucks is whose with the same name each day is no joke. I had only been working as Rachel’s nanny for three weeks, but it was already clear to me that wildlife made her uneasy. T he deer carry ticks, the cat that runs by the pool each morning could be feral. A bug must never enter the house. Squirrels are evil.

I on the other hand, welcome all animals, big and small, land or sea. I said three hail mary’s the day she asked me to kill an ant scurrying across the kitchen floor.

I opened the trash can with caution before peering in. “Oh, he’s cute!” I said, and for a racoon, he really was.

“He. Is. In. My. Garbage, Rachel!”
“I see that.”
“Well he needs to get out!”
It was clear to me in that moment that the raccoon’s fate would be far worse if I left

(Here the text breaks off for calculated crystals)
┌──
The following is a DFT calculation (PBE) of crystalline CsTl8Sb4 at its relaxed geometry.

```
13
Lattice="0.710 0.560 6.546 -1.264 -7.638 4.125 8.271 -1.415 2.560" Properties=species:S:1:pos:R:3 pbc="T T T"
Tl 1.666 -1.722 3.302
Tl 2.123 -5.428 3.569
Tl 4.770 -5.639 6.636
Tl 4.884 -3.625 3.116
Tl 1.077 -6.062 7.072
Tl 6.050 -6.771 9.930
Tl 2.946 -2.855 6.596
Tl 6.640 -2.431 6.159
Sb -0.277 -3.539 5.336
Sb 4.490 -0.428 4.553
Sb -0.632 -3.819 2.063
Sb 4.135 -0.708 1.280
Cs 0.000 0.000 0.000
```

Properties
Total magnetic moment in μB per cell: 0.0
Volume in Å³/atom: 33.57
Fermi-level density of states in states/eV per atom: 0.67
Calculated density in g/cm3: 8.580
Symmetry: I4/mmm

---

The following is a DFT calculation (PBE) of crystalline CsTl12Sb6 at its relaxed geometry.

```
19
Lattice="-0.742 7.786 -5.082 0.324 -7.135 -5.998 -7.939 -0.863 4.818" Properties=species:S:1:pos:R:3 pbc="T T T"
Tl -1.436 3.189 -6.903
Tl -1.030 -2.496 -7.252
Tl -5.045 1.802 -4.900
Tl -6.921 -3.402 0.642
Tl -3.576 1.676 -1.136
Tl -4.782 -1.888 -5.126
Tl -3.773 -5.792 -3.480
Tl -3.312 -2.015 -1.362
Tl -7.328 2.284 0.991
Tl -1.532 0.125 -3.811
Tl -4.585 5.580 -2.782
Tl -6.826 -0.337 -2.451
Sb -2.499 0.242 -6.847
Sb -2.040 -3.353 -4.412
Sb -5.825 -3.754 -2.273
Sb -5.858 -0.454 0.586
Sb -6.317 3.140 -1.850
Sb -2.532 3.542 -3.989
Cs 0.000 0.000 0.000
```

Properties
Total magnetic moment in μB per cell: 0.0
Volume in Å³/atom: 35.64
Fermi-level density of states in states/eV per atom: 0.48
Calculated density in g/cm3: 8.131
Symmetry: R-3m

---

The following is a DFT calculation (PBE) of crystalline CsTlSb at its relaxed geometry.

```
6
Lattice="4.840 0.093 -0.014 0.124 7.785 -1.104 -2.475 -2.907 7.554" Properties=species:S:1:pos:R:3 pbc="T T T"
Sb 3.122 0.050 4.639
Sb 2.914 4.972 3.852
Cs 0.601 2.750 6.474
Cs 0.595 2.179 2.031
Tl 0.539 -1.238 6.553
Tl 0.657 6.167 1.952
```

Properties
Total magnetic moment in μB per cell: 0.0
Volume in Å³/atom: 44.83
Fermi-level density of states in states/eV per atom: 0.02
Calculated density in g/cm3: 5.667
Symmetry: P-1
Polymorph energy (0 for the lowest one) in eV per atom: 0.0000

---

The following is a DFT calculation (PBE) of crystalline Cs2Tl2Sb at its relaxed geometry.

```
10
Lattice="8.296 0.000 0.000 -4.148 6.286 -2.130 0.000 -0.064 8.663" Properties=species:S:1:pos:R:3 pbc="T T T"
Sb 6.684 -0.048 6.497
Sb 1.612 -0.016 2.166
Tl 3.107 5.214 -1.288
Tl -3.107 5.182 3.043
Tl 7.255 1.040 3.489
Tl 1.041 1.008 7.821
Cs 3.589 2.125 4.834
Cs 4.706 2.157 0.503
Cs -0.559 4.065 6.030
Cs 0.559 4.097 1.699
```

Properties
Total magnetic moment in μB per cell: 0.0
Volume in Å³/atom: 45.07
Fermi-level density of states in states/eV per atom: 0.58
Calculated density in g/cm3: 5.869
Symmetry: C2/c
Polymorph energy (0 for the lowest one) in eV per atom: 0.0000

---

The following is a DFT calculation (PBE) of crystalline CsTlSb at its relaxed geometry.

```
18
└──

Rachel to deal with him alone. Luring him out of the garbage would be a favor to them both. I jumped into action.

Neck Path Road is surrounded by woods. Unlike the Hamptons that those unfamiliar would picture, it does not sit on the beach. In fact, there is no water at all. Instead, you are surrounded by dense trees and acres of untouched land. In it’s own way, it is as rich and peaceful as the gigantic houses that line the ocean.

It was no surprise to me that the racoon wandered through the woods and to their trash can, but how he was able to get inside, who the hell knows. This critter was like the Great Houdini, and no matter which was I tilted or turned the can, he didn’t budge. Other Rachel crossed her arms in a huff, yelling something about him being like a tiny, disease infested Spider Man.

I gave up on the tilting and groaned. This was not how Kourtney and Khloe had done the Hamptons. The day I arrived I had pictured myself strolling down main street, a tall fat free mocha something in hand. I imagined looking to my right and noticing Gwyneth Paltrow galavanting around town. Casual, chill, and fabulous. Unfortunately, the highlights of my three weeks had been La Fondita, and walking Amagansett Square with my very upset, but typically very fun new boss. I was suddenly beginning to feel extremely lame for being twenty five.

“I don’t know how we’re going to get him out. Maybe we should just leave him in there and he’ll come out on his ow…”

“Oh, no,” Rachel hissed. She vanished into the garage for a moment, then reappeared, armed with a broom stick. “Get out of my garbage can. Get out!.”

She struck the side of the can as hard as any five foot recently pregnant woman could, but her voice was fierce. I looked in the can to see the raccoon starting back at me, unfazed. He could have literally cared less. Usually at this time of night I was biking to Loose Point. A gorgeous, calming place. I made a mental note to never skip out on my nightly bike ride again. I needed the peace.

“Alright,” I announced, “I’m going to take all the trash out of the can, and then tip it all the way over. It’s not that nice, but I think it’s the only way to get him out. He’s too scared to run out on his own.”

Rachel agreed. I began carefully reaching in to grab the bags. I talked sweetly to the raccoon as I did this, to show him I was a friend, not foe. He stared at me with daggers, watching as I took away his precious food supply of dirty diapers and discarded scraps from Clam Bar. Trash escaped from the holes he had ripped in the bags, and raccoon poop covered1 the bottom.

“Oh, gross! Look at this! Look at it!” We were starting to loose Rachel here. I could sense it. I grabbed the last bag and then it was just him.

Here we go, I said. I flipped the can completely upside down, until I heard a thud that I figured was the rascal hitting the ground. Rachel took a large step back. I was now surrounded by stinky garbage and this raccoon was going to come out pissed. I wondered if Alex Baldwin ever had to do this at his Amagansett home. He seemed very manly. I decided he could handle it. I lifted the can back up, and held my breath.

The raccoon appeared, slightly dazed, like a sleeping baby being suddenly lifted out of their car seat. He paused, took in his surroundings, and in no particular rush, headed toward the woods. Rachel and I stood and watched as he scattered up a tree, leaving us, and all his mess in the driveway. For the first time since the seen began Rachel began to laugh.

“So,” she asked, “how’s your summer in the Hamptons?”